Langborne Ward. Monuments. 161

Langborne Ward. Monuments.

Martin de Amyas gave a Tenement in this Parish worth two Mark yearly Rent to the Abbot and Convent of Stratford. And Hen. le Walsh gave to the Minoresses without Aldgate a Tenement worth xx Mark per Ann. Both these Gifts in the Reign of K. Hen. III.

Tenements in this Parish belonging to Religious Houses.

Somewhere in Lombardstreet (and, if I mistake not, in this Parish of St. Mary Woolnoth) King Edward III. had a great House: Which he gave to the Dean and Chapter of his Chapel of Saint Steven by Letters Patents in the 22. of his Reign. Likewise hard by he had a Tower, called Sewtes Tower, standing in Bokeles Bury, which he gave also to St. Stevens Chapel, the 32. of his Reign.]

A great House of King Edward III. given to St. Steven's Chapel.

Sir Hugh Brice, before mentioned, was buried in the Body of this Church.

Persons buried here.

And Guy Brice, or Boys, was also buried there.

Dame Joane, Wife to Sir William Peach.

George Luffkin.

Hugh Acton, Tayler.]

Thomas Nocket, Draper, 1396. He founded a Chantry there.

Tho. Noket, Civis & Pannarius, by his Will, dated Sept. 18. 1396, gave 5 Mark yearly out of his Lands and Tenements in London, for a Chantry for ever in the Chapel of the Church of St. Mary Woolnoth, Lond. founded by Alice Wife of Gregory de Norton.]

St. Mary Wolnoth. Lib. Courtn.

E. A.

Simon Eyre, 1459. He gave the Tavern, called the Cardinals Hat in Lombardstreet, with a Tenement annexed on the East part of the Tavern, and a Mansion behind the East Tenement, together with an Alley from Lombardstreeet to Cornhil with the Appurtenances, all which were by him new builded toward a Brotherhood of our Lady in St. Mary Woolnoths Church.]

A. M.

Tho. Fairfax by his Will made Oct. 1. 1490. bequeathed to the High Altar in the Parish Church of St. Mary Woolnoth, one Diaper Table Cloth, and one Towel, and one Covering of a Bed of the best within his House.]

Tho. Fairfax è Regro. Test.

J. Worthing.

John Moager, Pewterer, and Emme his Wife in St. Johns Chapel.

Sir John Percival, Merchant-Taylor, Maior, Ob. about 1504.

Thomas Roch, and Andrew Michael, Vintners, and Joane their Wife.

William Hilton, Merchant-Taylor, and Taylor to King Henry VIII. was buried there 1519. under the Chapel of St. George, which Chapel was builded by George Luffken, sometime Taylor to the Prince.

Robert Amades, Goldsmith, Master of the Kings Jewels.

Sir Martin Bowes, Maior, buried about 1569. He gave Lands for the discharge of that Langborne Ward, of all Fifteens to be granted to the King by Parliament.

Langborne Ward discharged of Fifteenes.

George Hasken.

Sir Thomas Ramsey, late Maior &c.

Sir John Percivall, Knt. beforesaid, and Dame Thomasine his Wife, were worthy Benefactors to this Parish, and lye both here buried.

A fair Tomb in the Chancel.

A. M.

The several Wills made by them both in ancient Writing, are (to the Parishes great Commendation) very carefully kept and preserved in this Church, in a goodly Enclosure made for the purpose, and to be turned open like folding Tables: I have not seen the like in any other Church.

Sir John Percival and his Wife's Wills.

Morever I read (concerning this Man) that he was one of the Maior of Londons Officers, and Carver at his Table. And when the Maior (as the Custom of London is) doth elect one of the Sheriffs of London for the year ensuing, by taking and drinking a Cup of Wine to such a Man as he pleaseth to name; the Maior at that time) whose Name was Sir Henry Collet Knt. and free of the Mercers) took the Cup of Wine and drank the aforesaid John Percivall, his Carver, standing there bare-headed waiting before him, and called him Sheriff of London for the year ensuing: forthwith the said Maior caused the same Percivall to sit down at his own Table, and to cover his Head. And the same Percivall took upon him the Office of Sheriffalty, and afterward was Lord Maior of London, and made Knight. Register of Maiors.

An observation out of Richard Grafton.

John Percival, Carver to the Lord Maior, chosen Sheriff of London.

Here lyeth buried the body of Sir Martin Bowes, Knt. Alderman and Lord Maior of London, and also free of the Goldsmiths Company: with Cicilie, Dame Anne and Dame Elizabeth, his Wives. The which Sir Martin Bowes deceased the 4. day of August, An. Dom. 1566.

A goodly Marble close Tomb under the Communion Table.

His Will also is there kept in a fair Table.

Here lyeth interred the body of Sir Thomas Ramsey, Knt. a most worthy Citizen, and lately Lord Maior of London, being free of the Grocers Company. With whom (by Will) he hath left a perpetual Reliefe for poore yong Men, Retaylours of the said Company, which he saw performed in his life time. He was a most careful Magistrate, walked in the feare of God, and loved Peace. He lived 79 yeeres, and dyed (without issue) in the faith of Jesus Christ, the 19 day of May, Anno Dom. 1590. Whose godly End was a true Testimony of his vertuous Life.

~~~
14
Properties=species:S:1:pos:R:3:forces:R:3 method="wB97M-V/def2-TZVPD" molar_mass_g_mol=104.174 relative_energy_kcal_mol=29.5 smiles="OCCCC=S" e_tot_ev=-17159.17253 total_charge=0
H 0.7204 2.0110 -0.0632 -0.0287 0.2958 0.2768
H -0.2233 0.5473 1.7363 0.0612 -0.0283 0.1506
S 2.3109 -1.0829 0.1320 0.4105 -0.6839 0.1460
H -1.9004 -1.2942 1.1531 1.0211 0.5669 -0.7222
C 0.4533 0.9795 -0.2729 -0.0882 -0.4543 -1.1198
H -0.2564 -1.7670 0.5707 -0.3555 0.9120 0.4165
O -1.5544 -1.1446 -0.8695 1.7460 0.1482 -0.5864
H -0.6871 -1.1719 -1.3517 -1.5394 -0.1001 -0.1141
C -1.0502 -0.9947 0.4587 -1.1483 -0.5170 0.8742
C 1.7935 0.2839 -0.4904 -1.3742 1.0597 0.5740
H -0.0553 1.0794 -1.2741 0.5597 -0.2116 0.5924
H 2.4489 0.9330 -1.0478 0.4207 -0.0175 -0.4810
C -0.5987 0.4651 0.7179 1.3149 -1.2102 -0.1277
H -1.4012 1.1563 0.6009 -0.9998 0.2402 0.1207

14
Properties=species:S:1:pos:R:3:forces:R:3 method="wB97M-V/def2-TZVPD" molar_mass_g_mol=104.174 relative_energy_kcal_mol=24.5 smiles="C[C@@H](O)CC=S" e_tot_ev=-17159.38608 total_charge=0
H 1.2290 1.5308 -0.1927 -1.0867 0.2773 -0.5281
C -0.2558 0.8177 -1.6175 0.3726 -0.2657 -0.2727
S 0.2428 1.5930 -2.9480 -0.3100 -0.2894 0.5508
H 1.5049 -1.7295 0.3995 0.2021 0.0776 -0.4110
C 0.4342 -0.1550 0.6519 -0.6476 0.7817 -0.8989
O 1.3488 -0.9346 -0.1325 -0.0950 -0.2061 1.0598
H -1.2437 -1.2754 -0.0170 -0.2302 -0.2527 0.2406
C -0.8369 -0.9482 0.9366 1.0728 0.6222 0.5100
H -0.9596 -0.0243 -1.6919 0.0919 0.3687 -0.2047
H 0.9001 0.2811 1.5580 -0.1109 -0.7711 -0.0725
H -0.5144 1.8032 0.2094 0.0782 -0.0962 0.3373
H -0.5375 -1.7769 1.5883 -0.5365 -0.1238 -0.1836
C 0.1976 1.0903 -0.2148 1.4485 0.2396 -0.0810
H -1.5095 -0.2723 1.4706 -0.2492 -0.3622 -0.0461

=====

A structure of composition C23H26F5N4O4SSrTe, computed with the ωB97M-V functional and the def2-TZVPD basis.

The value obtained for the HOMO energy is -11.74 eV. The net charge is +1. The spin multiplicity is 1. As for the total energy: -2608.23709 a.u. The largest force on an atom comes out at 5.70 eV/A. The lowest unoccupied orbital energy comes out at -3.20 eV. For the relative energy (zero: lowest compared OMol25 entry of this formula, charge and spin), the calculation gives 118.3 kJ/mol.

```
65
Properties=species:S:1:pos:R:3:forces:R:3
Sr 0.8273 1.2742 2.9159 -1.88 -3.68 -3.92
O -5.1394 -1.8173 -0.4613 0.06 0.20 -0.09
C -4.5731 -0.6337 -0.9975 -0.01 -0.24 0.19
C -3.4509 -0.1936 -0.1060 -0.13 -0.08 -0.11
C -2.9070 1.0723 -0.2300 -0.05 0.19 -0.24
C -1.8161 1.3907 0.5444 0.24 0.06 0.03
N -1.2631 0.5526 1.4247 -0.01 0.16 0.21
C -1.8223 -0.6543 1.5848 0.28 -0.16 0.30
C -2.9061 -1.0541 0.8286 -0.17 -0.27 -0.12
C -1.2433 -1.5500 2.6513 -0.08 0.36 -0.32
C -1.8421 -2.7482 2.9883 -0.19 -0.25 -0.04
C -1.3458 -3.4916 4.0464 -0.13 -0.12 -0.07
C -1.9821 -4.7873 4.4510 -0.21 0.02 -0.18
O -2.9238 -5.1619 3.4617 0.16 0.08 0.12
C -0.2522 -3.0042 4.7376 0.15 -0.14 0.24
C 0.3153 -1.8276 4.3119 0.15 0.17 -0.11
N -0.1556 -1.1099 3.2874 0.05 0.05 0.34
~~~
Back to the page.

A very goodly Monument in the East end of the Chancel.

Here lyeth buried also Dame Alice, the first Wife of the said Sir Thomas Ramsey, she being eldest Daughter to Bevis Lea of Enfield in the County of Stafford, Gent. Unto whom he was married 37 yeeres: and having lived 85 yeeres, she departed this Life the 18 day of January, An. Dom. 1577.

Dame Mary, the second Wife to the said Sir Thomas Ramsey, was eldest Daughter to William Dale of Bristol, Merchant, unto whom he was married 12 yeeres. In regard therefore of so worthy a Knight, and his two vertuous Ladies: This Monument is heere placed, by the Executors to the said Sir Thomas Ramsey, the 18 day of November, Anno Dom. 1596.

Now for the MONUMENTS of later Times in the Church of S. Mary Woolnoth.

Modern Monuments.

J. S.

On the North side of the Communion Table is an Effigies of a Man in white Marble in the Posture of leaning on his left Arm, representing Thomas Vyner Esq; Son of Sir Thomas Vyner Knt. and Bart. Feb. 5. 1666.

~~~
Entry from OMol25: one molecule with the formula C6H6Br2F2 in a non-equilibrium geometry (ωB97M-V with the def2-TZVPD basis set).

Net charge: 0
Total energy (Eh): -5579.81320
LUMO (spin up / spin down) (eV): -0.55 / -1.85
2S+1: 1
Frontier orbital gap (spin up / spin down) (eV): 8.813 / 6.946

Last column: natural (NBO) charge in e.
Geometry (Å):
C -1.895761 -0.418793 -0.084422  -0.184
C -1.736092 0.840088 -0.141380  -0.055
C -0.785655 -1.453016 -0.186782  -0.475
C 1.007713 0.554430 -0.373158  -0.077
C 0.678602 -0.885462 -0.211839  0.632
C 1.668682 1.482751 0.533533  -0.697
F 1.157459 -1.292586 1.043068  -0.365
F 1.428612 -1.729570 -1.104480  -0.363
Br -3.649732 -1.417174 0.112808  -0.009
Br -2.874149 2.389296 0.014866  0.119
H -0.782645 -2.055933 0.742950  0.259
H -0.908682 -2.102115 -0.965812  0.243
H 0.862284 0.890684 -1.412125  0.216
H 1.715886 1.163119 1.639700  0.256
H 1.421343 2.594448 0.247527  0.253
H 2.692132 1.439827 0.145544  0.248

Cartesian forces (eV/Å) of the 6 atoms listed first:
-0.3 -3.2 -0.2
-0.2 3.2 0.2
0.7 2.1 2.4
-2.6 0.0 -1.8
0.6 -2.0 1.4
0.8 1.0 0.6

Entry from OMol25: an isolated ion of composition C7H12N3O3S and charge +1 in a non-equilibrium geometry (ωB97M-V with the def2-TZVPD basis set).

Net charge: +1
Total energy (Eh): -1061.76699
LUMO (eV): -4.59
2S+1: 1
Frontier orbital gap (eV): 9.323
SMILES string: Cc1cn(S(=O)(=O)N(C)C)c(C=O)[nH+]1

Last column: natural (NBO) charge in e.
Geometry (Å):
C -3.302102 1.850170 0.252127  -0.638
C -2.250121 0.750028 0.254359  0.183
C -0.893917 0.918188 0.377640  -0.053
N -0.249145 -0.338926 0.426654  -0.529
S 1.577366 -0.566659 0.965492  2.413
O 1.539924 0.212717 2.138373  -0.836
O 1.723176 -2.060382 0.985227  -0.867
N 2.522376 -0.041244 -0.205806  -0.638
C 2.930551 1.339341 -0.189060  -0.404
C 2.186335 -0.548312 -1.555276  -0.469
C -1.294386 -1.292420 0.242835  0.294
C -1.098769 -2.738789 0.291291  0.355
O -2.020662 -3.464500 0.121589  -0.442
N -2.399630 -0.583334 0.164030  -0.441
H -3.363565 2.055085 1.318125  0.255
H -2.906102 2.695687 -0.270352  0.252
H -4.248226 1.401689 -0.234854  0.253
H -0.493592 1.896581 0.526954  0.252
H 2.084844 2.028459 -0.631447  0.189
H 2.957066 1.642917 0.755689  0.226
H 3.893279 1.481791 -0.662813  0.246
H 1.238686 -0.295767 -2.011877  0.216
H 2.979789 -0.440206 -2.328031  0.260
H 2.086746 -1.690194 -1.559703  0.250
H -0.040474 -2.953035 0.698830  0.205
H -3.159458 -1.258888 0.129993  0.467

Cartesian forces (eV/Å) of the 6 atoms listed first:
-0.5 -2.9 -0.2
1.0 1.0 -0.5
0.0 -1.2 0.4
-1.8 0.0 -0.6
-0.6 -5.6 0.0
0.6 0.5 -0.1

Entry from OMol25: one molecule with the formula C5H7NO in a non-equilibrium geometry (ωB97M-V with the def2-TZVPD basis set).

Net charge: 0
Total energy (Eh): -324.60375
LUMO (eV): 0.94
2S+1: 1
Frontier orbital gap (eV): 10.170
SMILES string: C[C@@]12C[C@@H]1C=NO2

Last column: natural (NBO) charge in e.
Geometry (Å):
C -1.412141 0.433392 -1.118927  -0.619
C -0.356215 0.216106 -0.023866  0.245
~~~

On the South side of the Table over against this, is the like Effigies in white Marble, of one leaning on the Right Arm in his Livery Gown, being the foresaid Sir Tho. Vyner, Goldsmith, Alderman, Sheriff and Maior of this City. Deceased May 11. 1665.

Against the East Wall near the little North Door, a Monument for Sir Will. Phipps Knt. Who in the Year 1687. by his great Industry discovered among the Rocks, near the Bank of Bahama, on the North side of Hispaniola, a Spanish Plate Ship, which had been under Water 44 years: Out of which he took in Gold and Silver to the Value of 300000l. Sterling: and with a Fidelity equal to his Conduct brought it all to London. Where it was divided between himself and the rest of the Adventurers. Dyed Feb. 18. 1694.

{"formula": "C5H15N2O", "method": "ωB97M-V with the def2-TZVPD basis set", "e_lumo_ev": [0.621, 0.385], "e_above_lowest_kj_mol": 372.58, "e_tot_ev": -10450.156, "multiplicity": 2, "largest_force_ev_per_a": 4.21, "species": ["N", "C", "C", "O", "C", "N", "C", "C", "H", "H", "H", "H", "H", "H", "H", "H", "H", "H", "H", "H", "H", "H", "H"], "xyz": [[2.079, -0.160, -1.434], [0.626, -0.005, -1.036], [0.278, 1.442, -0.950], [1.444, 2.301, -0.886], [0.391, -0.795, 0.289], [-0.946, -0.466, 0.673], [-1.980, -1.377, 0.281], [-1.037, -0.002, 2.133], [2.168, 0.135, -2.465], [2.528, 0.507, -0.789], [2.549, -1.036, -1.345], [-0.100, -0.578, -1.841], [-0.369, 1.931, -1.822], [-0.377, 1.633, -0.057], [1.191, 2.964, -0.160], [1.071, -0.358, 1.066], [0.689, -1.883, 0.244], [-2.042, -1.305, -0.881], [-1.870, -2.413, 0.748], [-2.914, -1.228, 0.733], [-1.133, 1.083, 2.293], [-2.095, -0.266, 2.482], [-0.152, -0.123, 2.726]], "lowdin_charge": [0.089, -0.371, -0.272, -0.154, -0.234, -0.296, -0.119, -0.053, 0.062, 0.083, 0.019, 0.153, 0.150, 0.110, 0.122, 0.110, 0.117, 0.117, 0.103, 0.042, 0.061, 0.101, 0.062]}

=====

--- P ---
Formula: C5H9FN2
Source: the Open Molecules 2025 dataset
Level of theory: wB97M-V/def2-TZVPD

```
! RIJCOSX wB97M-V def2-TZVPD def2/J DEFGRID3
* xyz 0 1
N -0.168 2.939 0.056
C -0.085 1.802 -0.002
H -1.225 -1.368 -0.440
H 2.457 1.405 -0.490
N 1.041 -0.013 -1.022
H -3.371 -0.326 0.279
H -2.547 1.207 0.584
H 0.969 -1.000 -1.246
F -1.706 0.108 -1.668
H 2.683 -0.152 0.337
C 0.029 0.353 -0.048
C -2.430 0.126 0.581
C -1.336 -0.274 -0.398
C 2.386 0.324 -0.611
H -2.178 -0.211 1.583
H 0.285 0.018 0.983
H 3.076 0.016 -1.392
*
```

## Properties
SMILES: CN[C@@H](C#N)[C@@H](C)F
frontier orbital gap: 10.4 eV


--- Q ---
Formula: C5H9FN2
Source: the Open Molecules 2025 dataset
Level of theory: wB97M-V/def2-TZVPD

```
! RIJCOSX wB97M-V def2-TZVPD def2/J DEFGRID3
* xyz 0 1
C -1.104 -0.981 -0.373
C 0.665 1.208 0.322
H -1.640 -1.928 -0.519
H 1.436 2.007 0.727
N -0.263 1.667 -0.703
C 1.261 -0.116 -0.064
H 0.567 0.234 2.291
C 0.375 -1.030 -0.938
N -1.088 -0.532 1.056
C 0.215 0.098 1.203
H 0.390 -0.703 -2.075
H -1.707 -0.332 -0.973
H -0.966 -1.396 1.599
H -1.583 1.560 -0.140
F 2.476 -0.631 0.149
H 0.807 -2.097 -0.804
H 0.159 2.973 -0.759
*
```

## Properties
frontier orbital gap: 8.8 eV


--- R ---
Formula: C5H9FN2
Source: the Open Molecules 2025 dataset
Level of theory: wB97M-V/def2-TZVPD

```
! RIJCOSX wB97M-V def2-TZVPD def2/J DEFGRID3
* xyz 0 1
C -2.096 -0.962 -0.538
H -2.916 -1.600 -0.732
H -2.381 -0.236 0.314
H -0.197 -0.624 1.638
C 1.423 -1.171 0.413
H -2.152 -0.324 -1.461
C 0.049 -0.699 0.485
N 2.450 -1.664 0.162
C 1.478 1.669 0.492
C 0.290 0.986 -0.090
H -0.238 -1.801 -1.125
H 1.337 1.711 1.504
H 2.467 1.166 0.458
H 1.677 2.679 0.115
F 0.188 0.890 -1.476
H -0.634 1.463 0.184
N -0.744 -1.485 -0.342
*
```

## Properties
SMILES: CN[C@@H](C#N)[C@@H](C)F
frontier orbital gap: 9.9 eV


Which is most stable? The ranking, best first, is P, R, Q.


--- P ---

In the middle Ile, Will. Dunker of London
